## Contents
- - -
[1]
ORCA calculation (ωB97M-V with the def2-TZVPD basis set) on a molecular structure, C29H47FI2O5S2 at a distorted geometry.

CARTESIAN COORDINATES (ANGSTROEM)
C: -6.86 -3.54 4.21
C: -6.11 -3.15 3.36
C: -5.09 -2.76 2.28
C: -5.01 -1.17 2.08
C: -3.65 -0.90 1.29
C: -3.21 0.63 1.30
S: -1.99 0.61 2.73
O: -0.80 -0.18 2.40
O: -2.65 -0.08 3.84
F: -1.65 2.11 3.27
C: -4.24 1.74 1.81
O: -4.90 1.82 2.79
O: -4.21 2.79 0.85
C: -4.03 2.07 -0.43
S: -5.63 1.13 -0.52
C: -4.00 3.26 -1.46
I: -3.66 5.26 -0.64
C: -4.15 3.17 -2.83
C: -4.38 1.79 -3.53
I: -4.11 4.92 -4.09
C: -2.69 1.28 -0.09
C: -1.37 2.12 0.19
C: -0.80 2.92 -1.06
C: 0.76 2.59 -1.24
C: 1.56 3.57 -0.25
C: -2.27 0.27 -1.24
C: -1.12 -0.74 -0.85
C: -0.86 -1.71 -2.11
C: 0.50 -1.38 -2.85
C: 1.77 -1.68 -1.95
C: 3.09 -1.22 -2.75
C: 4.27 -1.07 -1.72
C: 4.88 -2.47 -1.23
C: 4.85 -2.59 0.36
C: 6.32 -2.45 0.98
C: 6.16 -2.06 2.51
C: 7.00 -0.79 2.96
O: 7.15 0.22 1.96
C: 5.97 1.03 1.85
H: -7.54 -3.84 5.02
H: -5.31 -3.20 1.26
H: -4.07 -3.12 2.58
H: -5.04 -0.69 3.09
H: -5.90 -0.89 1.45
H: -3.80 -1.32 0.26
H: -2.88 -1.56 1.79
H: -6.39 1.74 -1.49
H: -4.51 2.01 -4.63
H: -3.52 1.07 -3.46
H: -5.32 1.26 -3.22
H: -0.51 1.49 0.57
H: -1.66 2.91 0.95
H: -0.83 4.02 -0.82
H: -1.39 2.80 -2.01
H: 1.13 2.80 -2.28
H: 1.03 1.55 -0.92
H: 2.33 3.00 0.36
H: 2.10 4.38 -0.81
H: 0.87 4.03 0.52
H: -1.97 0.77 -2.20
H: -3.19 -0.35 -1.49
H: -0.13 -0.24 -0.65
H: -1.35 -1.41 0.01
H: -1.70 -1.58 -2.85
H: -0.81 -2.79 -1.77
H: 0.50 -0.33 -3.25
H: 0.60 -2.06 -3.75
H: 1.77 -1.07 -1.00
H: 1.83 -2.77 -1.65
H: 2.85 -0.19 -3.14
H: 3.27 -1.98 -3.56
H: 5.11 -0.50 -2.23
H: 3.98 -0.43 -0.83
H: 4.29 -3.30 -1.72
H: 5.97 -2.49 -1.53
H: 4.36 -3.56 0.71
H: 4.23 -1.77 0.83
H: 6.86 -1.69 0.36
H: 6.87 -3.43 0.84
H: 5.07 -1.95 2.79
H: 6.54 -2.94 3.11
H: 7.99 -1.16 3.36
H: 6.46 -0.33 3.85
H: 5.11 0.38 1.53
H: 5.75 1.64 2.77
H: 6.16 1.75 1.00

Results
* net charge: 0
* HOMO energy: -9.1 eV
* LUMO level: -0.0208 hartree
* E_tot: -3000.73684 hartree



[2]
ORCA calculation (ωB97M-V with the def2-TZVPD basis set) on a molecular structure, C29H48BBr37IN3O5P at a distorted geometry.

CARTESIAN COORDINATES (ANGSTROEM)
C: 8.96 -1.28 -0.01
C: 7.93 -0.59 0.81
O: 7.89 0.60 0.99
O: 7.06 -1.46 1.32
C: 5.68 -1.02 1.54
C: 4.84 -1.68 0.47
C: 3.48 -1.04 0.21
P: 1.79 -1.93 0.60
C: 1.05 -0.67 -0.72
C: -0.40 -0.65 -1.18
C: -0.52 -0.67 -2.68
Br: -1.38 1.02 -0.60
C: 0.11 -2.93 1.02
C: -0.18 -4.17 0.26
C: -0.78 -4.04 -1.12
I: -1.74 -5.39 1.42
C: 1.16 -0.76 2.04
C: 1.94 0.38 2.69
O: 3.27 -0.03 2.95
C: 1.86 1.75 1.99
N: 3.09 2.18 1.31
N: 2.65 -3.12 1.94
C: 2.99 -2.94 3.07
O: 3.40 -2.75 4.17
B: 2.45 -3.24 -0.84
O: 3.00 -4.46 -0.49
N: 2.46 -2.93 -2.33
C: 1.76 -3.97 -3.09
C: 3.82 -2.75 -2.80
H: 8.66 -1.23 -1.05
H: 9.05 -2.33 0.27
H: 9.91 -0.79 0.12
H: 5.40 -1.32 2.53
H: 5.61 0.06 1.50
H: 4.82 -2.75 0.70
H: 5.45 -1.58 -0.43
H: 3.41 -1.00 -0.88
H: 3.49 0.01 0.48
H: 1.63 -0.71 -1.63
H: 1.29 0.31 -0.33
H: -1.06 -1.40 -0.75
H: -1.53 -0.47 -3.01
H: -0.17 -1.63 -3.06
H: 0.12 0.09 -3.11
H: -0.77 -2.30 1.09
H: 0.29 -3.24 2.04
H: 0.60 -4.92 0.33
H: -0.57 -4.91 -1.73
H: -0.36 -3.18 -1.62
H: -1.85 -3.94 -1.09
H: 0.73 -1.37 2.83
H: 0.28 -0.28 1.62
H: 1.47 0.54 3.66
H: 3.64 0.56 3.62
H: 1.02 1.75 1.30
H: 1.61 2.48 2.76
H: 2.93 2.33 0.32
H: 3.38 3.09 1.66
H: 3.95 -4.52 -0.64
H: 2.33 -4.29 -3.95
H: 1.53 -4.84 -2.48
H: 0.81 -3.59 -3.47
H: 3.83 -2.25 -3.77
H: 4.40 -2.14 -2.11
H: 4.36 -3.70 -2.93
C: -0.87 -5.58 -5.83
Br: 0.37 -6.62 -4.81
Br: -1.99 -4.52 -4.69
Br: 0.04 -4.49 -7.13
H: -1.51 -6.26 -6.37
C: -1.67 4.74 2.71
Br: -0.23 5.26 1.55
Br: -1.88 2.84 2.78
Br: -1.44 5.46 4.47
H: -2.58 5.15 2.30
C: -4.71 5.35 6.40
Br: -4.78 6.63 4.97
Br: -4.54 3.56 5.74
Br: -3.30 5.76 7.64
H: -5.64 5.41 6.93
C: -0.74 2.77 6.88
Br: 0.95 2.66 6.00
Br: -1.76 1.16 6.63
Br: -0.57 3.23 8.73
H: -1.29 3.57 6.40
C: -5.66 -7.36 1.97
Br: -4.80 -6.66 3.52
Br: -6.59 -5.99 1.00
Br: -4.42 -8.29 0.82
H: -6.40 -8.08 2.28
C: 4.32 1.10 -3.52
Br: 5.68 0.41 -2.37
Br: 2.89 1.92 -2.54
Br: 5.02 2.31 -4.85
H: 3.89 0.26 -4.05
- - -

## Wanted
Retype the contents above unchanged.

## Reply
[1]
ORCA calculation (ωB97M-V with the def2-TZVPD basis set) on a molecular structure, C29H47FI2O5S2 at a distorted geometry.

CARTESIAN COORDINATES (ANGSTROEM)
C: -6.86 -3.54 4.21
C: -6.11 -3.15 3.36
C: -5.09 -2.76 2.28
C: -5.01 -1.17 2.08
C: -3.65 -0.90 1.29
C: -3.21 0.63 1.30
S: -1.99 0.61 2.73
O: -0.80 -0.18 2.40
O: -2.65 -0.08 3.84
F: -1.65 2.11 3.27
C: -4.24 1.74 1.81
O: -4.90 1.82 2.79
O: -4.21 2.79 0.85
C: -4.03 2.07 -0.43
S: -5.63 1.13 -0.52
C: -4.00 3.26 -1.46
I: -3.66 5.26 -0.64
C: -4.15 3.17 -2.83
C: -4.38 1.79 -3.53
I: -4.11 4.92 -4.09
C: -2.69 1.28 -0.09
C: -1.37 2.12 0.19
C: -0.80 2.92 -1.06
C: 0.76 2.59 -1.24
C: 1.56 3.57 -0.25
C: -2.27 0.27 -1.24
C: -1.12 -0.74 -0.85
C: -0.86 -1.71 -2.11
C: 0.50 -1.38 -2.85
C: 1.77 -1.68 -1.95
C: 3.09 -1.22 -2.75
C: 4.27 -1.07 -1.72
C: 4.88 -2.47 -1.23
C: 4.85 -2.59 0.36
C: 6.32 -2.45 0.98
C: 6.16 -2.06 2.51
C: 7.00 -0.79 2.96
O: 7.15 0.22 1.96
C: 5.97 1.03 1.85
H: -7.54 -3.84 5.02
H: -5.31 -3.20 1.26
H: -4.07 -3.12 2.58
H: -5.04 -0.69 3.09
H: -5.90 -0.89 1.45
H: -3.80 -1.32 0.26
H: -2.88 -1.56 1.79
H: -6.39 1.74 -1.49
H: -4.51 2.01 -4.63
H: -3.52 1.07 -3.46
H: -5.32 1.26 -3.22
H: -0.51 1.49 0.57
H: -1.66 2.91 0.95
H: -0.83 4.02 -0.82
H: -1.39 2.80 -2.01
H: 1.13 2.80 -2.28
H: 1.03 1.55 -0.92
H: 2.33 3.00 0.36
H: 2.10 4.38 -0.81
H: 0.87 4.03 0.52
H: -1.97 0.77 -2.20
H: -3.19 -0.35 -1.49
H: -0.13 -0.24 -0.65
H: -1.35 -1.41 0.01
H: -1.70 -1.58 -2.85
H: -0.81 -2.79 -1.77
H: 0.50 -0.33 -3.25
H: 0.60 -2.06 -3.75
H: 1.77 -1.07 -1.00
H: 1.83 -2.77 -1.65
H: 2.85 -0.19 -3.14
H: 3.27 -1.98 -3.56
H: 5.11 -0.50 -2.23
H: 3.98 -0.43 -0.83
H: 4.29 -3.30 -1.72
H: 5.97 -2.49 -1.53
H: 4.36 -3.56 0.71
H: 4.23 -1.77 0.83
H: 6.86 -1.69 0.36
H: 6.87 -3.43 0.84
H: 5.07 -1.95 2.79
H: 6.54 -2.94 3.11
H: 7.99 -1.16 3.36
H: 6.46 -0.33 3.85
H: 5.11 0.38 1.53
H: 5.75 1.64 2.77
H: 6.16 1.75 1.00

Results
* net charge: 0
* HOMO energy: -9.1 eV
* LUMO level: -0.0208 hartree
* E_tot: -3000.73684 hartree



[2]
ORCA calculation (ωB97M-V with the def2-TZVPD basis set) on a molecular structure, C29H48BBr37IN3O5P at a distorted geometry.

CARTESIAN COORDINATES (ANGSTROEM)
C: 8.96 -1.28 -0.01
C: 7.93 -0.59 0.81
O: 7.89 0.60 0.99
O: 7.06 -1.46 1.32
C: 5.68 -1.02 1.54
C: 4.84 -1.68 0.47
C: 3.48 -1.04 0.21
P: 1.79 -1.93 0.60
C: 1.05 -0.67 -0.72
C: -0.40 -0.65 -1.18
C: -0.52 -0.67 -2.68
Br: -1.38 1.02 -0.60
C: 0.11 -2.93 1.02
C: -0.18 -4.17 0.26
C: -0.78 -4.04 -1.12
I: -1.74 -5.39 1.42
C: 1.16 -0.76 2.04
C: 1.94 0.38 2.69
O: 3.27 -0.03 2.95
C: 1.86 1.75 1.99
N: 3.09 2.18 1.31
N: 2.65 -3.12 1.94
C: 2.99 -2.94 3.07
O: 3.40 -2.75 4.17
B: 2.45 -3.24 -0.84
O: 3.00 -4.46 -0.49
N: 2.46 -2.93 -2.33
C: 1.76 -3.97 -3.09
C: 3.82 -2.75 -2.80
H: 8.66 -1.23 -1.05
H: 9.05 -2.33 0.27
H: 9.91 -0.79 0.12
H: 5.40 -1.32 2.53
H: 5.61 0.06 1.50
H: 4.82 -2.75 0.70
H: 5.45 -1.58 -0.43
H: 3.41 -1.00 -0.88
H: 3.49 0.01 0.48
H: 1.63 -0.71 -1.63
H: 1.29 0.31 -0.33
H: -1.06 -1.40 -0.75
H: -1.53 -0.47 -3.01
H: -0.17 -1.63 -3.06
H: 0.12 0.09 -3.11
H: -0.77 -2.30 1.09
H: 0.29 -3.24 2.04
H: 0.60 -4.92 0.33
H: -0.57 -4.91 -1.73
H: -0.36 -3.18 -1.62
H: -1.85 -3.94 -1.09
H: 0.73 -1.37 2.83
H: 0.28 -0.28 1.62
H: 1.47 0.54 3.66
H: 3.64 0.56 3.62
H: 1.02 1.75 1.30
H: 1.61 2.48 2.76
H: 2.93 2.33 0.32
H: 3.38 3.09 1.66
H: 3.95 -4.52 -0.64
H: 2.33 -4.29 -3.95
H: 1.53 -4.84 -2.48
H: 0.81 -3.59 -3.47
H: 3.83 -2.25 -3.77
H: 4.40 -2.14 -2.11
H: 4.36 -3.70 -2.93
C: -0.87 -5.58 -5.83
Br: 0.37 -6.62 -4.81
Br: -1.99 -4.52 -4.69
Br: 0.04 -4.49 -7.13
H: -1.51 -6.26 -6.37
C: -1.67 4.74 2.71
Br: -0.23 5.26 1.55
Br: -1.88 2.84 2.78
Br: -1.44 5.46 4.47
H: -2.58 5.15 2.30
C: -4.71 5.35 6.40
Br: -4.78 6.63 4.97
Br: -4.54 3.56 5.74
Br: -3.30 5.76 7.64
H: -5.64 5.41 6.93
C: -0.74 2.77 6.88
Br: 0.95 2.66 6.00
Br: -1.76 1.16 6.63
Br: -0.57 3.23 8.73
H: -1.29 3.57 6.40
C: -5.66 -7.36 1.97
Br: -4.80 -6.66 3.52
Br: -6.59 -5.99 1.00
Br: -4.42 -8.29 0.82
H: -6.40 -8.08 2.28
C: 4.32 1.10 -3.52
Br: 5.68 0.41 -2.37
Br: 2.89 1.92 -2.54
Br: 5.02 2.31 -4.85
H: 3.89 0.26 -4.05